Senior Sociopaths: Antisocial Behavior After Age 50

Sociopaths are all serial killers, right? Well, some are, but most sociopaths never kill anyone. Instead, they blend easily into society. Maybe your boss or co-worker is a sociopath. Maybe your neighbor is disordered. Or maybe, like me, you married a sociopath.
My husband claimed to be an entrepreneur, a screenwriter and a war hero. Actually, he was a con artist. This guy took $227,000 from me, cheated with at least 6 different women in our 2.5-year relationship, had a child with one of the women, and then 10 days after I left him, married the mother of the child. It was the second time he committed bigamy.
I was 40 years old when I met him online. He told me he was 49. Then, saying he couldn’t bear to lie to me, he confessed that he was 51. Actually, he was 55.
So the entire time he was scamming me — and multiple other women — he was between the ages of 55 and 58.
After I left him, I learned that he was a sociopath. I didn’t know what that meant, so I started researching. You can imagine my surprise and confusion when I kept coming across mental health professionals and psychology researchers saying that sociopaths burned out in their 40s and stopped their antisocial behavior.
My husband was 55 when he started working on me. I found evidence of the many women he swindled before me, when he was in his 40s, and the women he continued to swindle after me, well into his 60s. He certainly didn’t burn out. He kept getting worse.

Educating the public about sociopaths
Because of my experience, I created to warn people about the smooth-talking con artists living among us. I heard from many readers, both women and men, who found themselves entangled with abusers, liars and con artists who were also aged 40 or older. They weren’t burning out. What in the world were these psychology experts talking about?
I wanted to gather data. So I posted a survey on Lovefraud, asking people to describe their experiences with people whom they believed were sociopaths and were age 50 or older. A total of 2,190 people completed the survey, and the stories they told were shocking. There were tales of unbelievable deception, manipulation, exploitation, abuse — including child abuse, double lives, criminal behavior and downright cruelty. All perpetrated by supposedly mature individuals.
I’ve written a book about my research called, Senior Sociopaths — How to Recognize and Escape Lifelong Abusers. It’s the first book to examine antisocial behavior in the over-50 crowd. This is a far bigger problem than anyone realizes. In America, 14 million people over age 50 could be diagnosed with antisocial, narcissistic, borderline or histrionic personality disorders, or psychopathy. On, I refer to all of them collectively as sociopaths.
Most of the survey respondents were women who described their spouses or romantic partners. But I also heard from people who wrote about their parents, siblings, family members, in-laws, friends, neighbors, bosses or co-workers.

A relaxed CrCl crystal. Source: Alexandria, functional GGA-PBE.

## Properties
As for the space-group type: No. 129. For the size of the total moment, the calculation gives 1.57 μB per formula unit.

```
data_CrCl
_chemical_formula_sum 'Cr2 Cl2'
_symmetry_space_group_name_H-M 'P 1'
_symmetry_Int_Tables_number 1
_symmetry_space_group_name_Hall 'P 1'
_cell_length_a 3.4457
_cell_length_b 3.4457
_cell_length_c 6.6421
_cell_angle_alpha 90.00
_cell_angle_beta 90.00
_cell_angle_gamma 90.00
loop_
_atom_site_label
_atom_site_fract_x
_atom_site_fract_y
_atom_site_fract_z
Cr1 0.2500 0.7500 0.0000
Cr2 0.7500 0.2500 0.0000
Cl1 0.2500 0.2500 0.2612
Cl2 0.7500 0.7500 0.7388
```



A relaxed CrCl3 crystal. Source: Alexandria, functional GGA-PBE.

## Properties
As for the space-group type: No. 166. For the size of the total moment, the calculation gives 2.99 μB per formula unit.

```
data_CrCl3
_chemical_formula_sum 'Cr1 Cl3'
_symmetry_space_group_name_H-M 'P 1'
_symmetry_Int_Tables_number 1
_symmetry_space_group_name_Hall 'P 1'
_cell_length_a 8.0763
_cell_length_b 8.0763
_cell_length_c 8.0763
_cell_angle_alpha 25.59
_cell_angle_beta 25.59
_cell_angle_gamma 25.59
loop_
_atom_site_label
_atom_site_fract_x
_atom_site_fract_y
_atom_site_fract_z
Cl1 0.5000 0.5000 0.5000
Cl2 0.2765 0.2765 0.2765
Cr1 0.0000 0.0000 0.0000
Cl3 0.7235 0.7235 0.7235
```



| no. | DOS(E_F) (states/eV/f.u.) | VASP energy (eV per atom) |
| --- | --- | --- |
| 1 | 1.73 | -5.65 |
| 2 | 3.86 | -4.30 |

* * * * *

Ac4YIn5 after structural relaxation, computed with PBE. Values from VASP.

Quantum ESPRESSO input file:
```
&SYSTEM
  ibrav = 0, nat = 10, ntyp = 3
/
ATOMIC_SPECIES
Ac 227.00 Ac.upf
Y 88.91 Y.upf
In 114.82 In.upf
CELL_PARAMETERS angstrom
3.979 0.000 0.000
0.000 3.979 0.000
0.000 0.000 20.822
ATOMIC_POSITIONS angstrom
Ac 0.000 0.000 2.180
Ac 0.000 0.000 6.501
Ac 0.000 0.000 14.321
Ac 0.000 0.000 18.641
Y 0.000 0.000 10.411
In 1.989 1.989 0.000
In 1.989 1.989 4.356
In 1.989 1.989 8.712
In 1.989 1.989 12.109
In 1.989 1.989 16.466
```

Calculated values
The space group is No. 123. Its crystal system is tetragonal. Its formation energy is -0.434 eV per atom.
End of the records of crystals:

Sociopathic behavior at work
In the survey, 62 people described someone who was strictly a work colleagues or business associate. I asked them what behaviors they observed. Here are the top responses:
Senior sociopath behavior at work (N=42). The individual:
- manipulates others in the organization — 81%
- blames someone else — 76%
- cannot be trusted — 74%
- causes turmoil among co-workers — 69%
- has people above him or her in the organization fooled — 62%
- promises but does not deliver — 60%
- is a bully — 55%
- takes credit for work that others did — 55%
- has violated policy or the law, but has gotten away with it — 55%
So what does this look like on the job? Here are a few quotes from survey respondents:
- He stopped my promotion by lying to our superiors. I was transferred to another office to be away from him and he went over our manager to the CEO to have me returned to the previous office working under him again.
- I watch her love bomb anyone she perceives as being potentially useful to her in the future. If she has a complaint with higher-ups she dupes other coworkers into complaining to the boss so she can stay in her role as nice and fun. For her amusement she suckers nice people into doing things for her that she is very capable of doing herself.
- He is very deceitful and manipulative. He refused to do the work as discussed. And he hides information so people cannot make informed decisions.
Most survey respondents were traumatized by the experience, no matter what type of relationship it was. Almost everyone reported anxiety, depression, or post-traumatic stress disorder. Many said the involvement made them ill. And about a third of respondents considered or attempted suicide — all because of actions the sociopaths took while over the age of 50.
Business plus personal relationships
But it gets worse. An additional 283 survey respondents had both business and personal relationships with the senior sociopaths. Some were romantic partners and business partners. Some worked in the family business.
Although purely business involvements with sociopaths are damaging, the combination of business and personal relationships is downright destructive. Here’s what the survey respondents reported:
Harm endured by survey respondents (Business relationships N = 37, Business plus personal relationships, N = 235)
- Lost money — 59% of business relationships, 71% of business plus personal relationships
- Emotional abuse — 69% of business relationships, 95% of business plus personal relationships
- PTSD — 47% of business relationships, 72% of business plus personal relationships
- Life threatened — 12% of business relationships, 29% of business plus personal relationships
What’s with the burnout?
So why were the so-called “experts” saying that antisocial behavior burned out?
Essentially, researchers have known for a couple hundred years that criminal behavior, as measured by arrests and convictions, peaks about age 22 and then drops off. This is true.
From this fact, experts seem to have drawn the conclusion that because criminal arrests drop off, antisocial behavior also drops off. But there are multiple problems with this conclusion.
First of all, arrests and convictions are not the only indicator of antisocial behavior. Secondly, older people are more likely getting away with crimes —research shows that cops and prosecutors don’t want to go after grandma or grandpa. And finally, multiple psychology researchers acknowledge that typical evaluation methods may not be gathering accurate data on older populations.
My book contains real evidence that sociopaths do not burn out. Instead, they continue their abusive behavior until the day they die.
So if you have a senior sociopath in your life, what do you do? I address that in the last two chapters. Chapter 8 is entitled, “Dealing with the Sociopath.” Survey respondents revealed how they escaped, if they could, and how they coped, if they couldn’t.
Chapter 9 is about recovery from the sociopath. Survey respondents offered their advice, which could be summarized into three approaches: Educate yourself about what sociopaths are, figure out why you were vulnerable, and commit to working on your recovery.
If someone over age 50 is still making your life miserable, there is no point waiting for them to change. Senior sociopaths never calm down and never grow up. Therapy does not work. The best thing you can do is disconnect from the person. If you can get them out of your life, great. If that’s not possible, keep contact to a minimum and disconnect emotionally.
This guest post was authored by Donna Andersen

Donna Andersen is creator of, a website that teaches people to recognize and recover from sociopaths. She is the author of eight books, including Senior Sociopaths — How to recognize and escape lifelong abusers (May 2022), Red Flags of Love Fraud—10 signs you’re dating a sociopath, the Red Flags of Love Fraud Workbook and the four-part Best of the Lovefraud Blog series. She learned about sociopaths the hard way, by marrying one, and tells the whole outrageous story in her first book, Love Fraud.
Donna founded Lovefraud Education and Recovery, a nonprofit that offers webinars to help survivors and professionals identify, escape and recover from sociopaths, including narcissists, psychopaths and other manipulators. She is co-author of two scientific papers and has presented research to the Society for the Scientific Study of Psychopathy.